What Kind of Tax Based System is Currently on the Process?

The tax base of income taxation consists roughly of income from work, social benefits and capital income. They are the result of many different economic choices. For example, training, participation in work and hours worked affect the amount of labor income and the choices about consumption and saving capital income. In principle, income tax is levied on all income. Therefore, it can have a wide range of behavioral effects that need to be taken into account.in the design of the tax structure.
Between two parts of the entry: records of molecules =
/*
[1]
Density functional theory data (the ωB97M-V functional and the def2-TZVPD basis) for 2 unconnected molecules or ions with the total composition C4H11Cl2N2.

Positions of all 19 atoms, in Å:
C1 0.979 -1.391 0.003
C2 -1.335 -1.280 1.043
C3 -0.305 -0.624 0.167
C4 -0.720 0.293 -0.929
N1 0.079 0.455 -2.038
N2 -0.124 0.848 0.354
Cl1 2.652 2.851 1.020
Cl2 -2.446 0.765 -1.057
H1 0.763 -2.373 -0.409
H2 1.460 -1.536 0.968
H3 1.665 -0.883 -0.668
H4 -0.883 -1.620 1.971
H5 -1.737 -2.148 0.527
H6 -2.162 -0.615 1.270
H7 -0.119 1.284 -2.585
H8 0.147 -0.356 -2.638
H9 0.821 1.256 0.340
H10 -0.750 1.341 0.989
H11 2.016 3.733 1.673

Calculated values
Energy above the lowest of the compared OMol25 structures with the same formula, charge and spin ... 0.00 kJ/mol
M ... 158.1 g mol⁻¹
HOMO energy ... -14.8099 eV
Total charge ... +1



[2]
Density functional theory data (the ωB97M-V functional and the def2-TZVPD basis) for a molecular structure, C4H11ClCoNO2Y at a distorted geometry.

Positions of all 21 atoms, in Å:
Co1 0.649 1.050 0.796
Cl1 1.469 -0.700 -0.152
C1 1.606 2.387 -0.304
H1 1.792 3.287 0.312
H2 1.028 2.687 -1.184
H3 2.593 2.013 -0.644
Y1 -0.852 -1.072 -0.506
C2 -1.462 -2.572 0.781
C3 -1.357 -1.327 -2.482
C4 -1.112 0.892 0.244
H4 -1.976 -0.468 -2.751
H5 -0.469 -1.397 -3.104
H6 -1.937 -2.257 -2.491
H7 -2.120 -2.096 1.512
H8 -2.017 -3.265 0.139
H9 -0.611 -3.054 1.257
H10 -1.447 1.607 -0.473
H11 -1.777 0.687 1.092
O1 3.410 1.294 3.446
N1 2.303 1.276 2.889
O2 2.285 1.027 1.623

Calculated values
2S+1 ... 5
M ... 288.4 g mol⁻¹
HOMO energy (spin up / spin down) ... -3.8320 / -4.9507 eV
Total charge ... -1



[3]
Density functional theory data (the ωB97M-V functional and the def2-TZVPD basis) for a gas-phase ion, C4H11ClN2 (charge +2) at a distorted geometry.

Positions of all 18 atoms, in Å:
C1 -0.593 0.910 0.181
C2 -0.285 0.418 -1.246
C3 -0.511 -0.460 0.796
C4 0.506 -1.208 -0.100
N1 0.827 0.877 -2.035
N2 -0.300 -0.555 2.284
Cl1 0.150 -2.848 -0.368
H1 0.285 1.513 0.434
H2 -1.484 1.349 0.210
H3 -1.010 0.117 -1.925
H4 -1.471 -0.824 0.390
H5 1.628 -1.003 -0.056
H6 0.679 1.916 -2.507
H7 0.808 0.447 -2.951
H8 1.581 1.002 -1.417
H9 -1.014 -1.051 2.908
H10 -0.402 0.367 2.744
H11 0.606 -0.967 2.658

Calculated values
Energy above the lowest of the compared OMol25 structures with the same formula, charge and spin ... 208.38 kJ/mol
M ... 122.6 g mol⁻¹
HOMO energy ... -17.5117 eV
Total charge ... +2



[4]
Density functional theory data (the ωB97M-V functional and the def2-TZVPD basis) for 2 unconnected molecules or ions with the total composition C4H11F2NO10P3S2 at a distorted geometry.

Positions of all 33 atoms, in Å:
C1 2.127 1.930 0.494
C2 0.733 1.118 0.060
C3 1.019 -0.530 0.039
O1 1.031 -1.058 1.436
C4 1.108 -2.539 1.425
O2 0.166 -3.264 2.089
P1 2.451 -3.514 0.473
P2 4.366 -2.473 0.411
O3 5.327 -3.179 1.463
O4 4.988 -2.691 -1.237
O5 4.301 -0.777 0.800
P3 -0.353 -1.311 -1.059
O6 -1.599 -0.294 -1.035
H1 2.771 2.143 -0.480
H2 2.735 1.269 1.275
H3 1.842 2.975 0.977
*/
Let’s look at this with an example
When a person is considering a decision on working hours for more information, the key option is to spend hours on leisure activities. Because leisure time is practically not taxable, taxation inevitably distorts a person job offer decision. Therefore, neutral taxation cannot be a meaningful goal florin income tax planning. The situation is different when choosing a savings destination.
There is also a specific objective related to income taxation, the income redistribution task
This implemented through a deduction system and a progressive tax scale. Income tax-because it is a personal, direct tax. Tax detailed information on the person’s financial and economic situation may be used other circumstances. For example, fuel tax and VAT are suitable for this clearly worse because the tax is paid by the manufacturer or seller of the commodity. Ku-the consumer pays the tax indirectly at the price of his consumption.
- The aim of this chapter is to provide an overview of the effects of income taxation on different economic decisions. It also considers how income the tax base and tax scales of the race should be designed taking into account behavioral effects. We first look at the effects of income tax and income transfers on household and how this can be exploited in the structure of income taxing design. Next, we discuss the taxation of capital income and finally the issues related to the taxation of income from employment. So you will not have to ask How to calculate business tax
For the Healthy Lifestyles
Here the page breaks off for molecular data:
- - -
1.
The following is a quantum chemistry calculation of a cluster of 2 separate species, C26H49N2O5 in total, from OMol25.

XYZ file:
```
82
Properties=species:S:1:pos:R:3:forces:R:3
C -3.076 3.800 4.829 0.77 0.22 -0.83
C -2.056 3.018 3.827 -0.73 0.36 0.85
C -1.188 4.021 2.918 -0.81 -1.70 -1.17
C -0.175 3.081 2.048 0.18 1.99 2.18
O -0.968 2.555 0.947 2.51 -2.00 -1.32
C -0.205 1.725 0.090 1.49 -1.56 -1.73
C 1.259 2.006 -0.380 -2.96 -3.92 -1.23
C 1.880 0.916 -1.344 -2.87 0.07 1.16
C 3.409 1.161 -1.820 -0.39 -1.01 0.02
O 4.053 2.233 -1.110 -0.18 -1.70 0.00
C 4.561 1.811 0.182 -0.13 0.34 1.70
C 1.053 -0.338 -1.812 0.43 1.98 0.89
C 1.655 -1.445 -2.833 -0.95 -0.04 0.97
C 2.687 -2.415 -2.079 2.22 -0.15 -1.34
N 3.885 -2.628 -2.594 -3.47 1.11 0.79
N -0.318 -0.524 -1.322 2.02 3.75 1.79
O -1.083 -1.587 -1.691 0.02 0.72 -0.98
C -1.987 -1.164 -2.792 -1.97 0.61 -1.42
C -3.545 -1.388 -2.429 -0.43 0.39 -0.40
C -4.400 -0.013 -2.371 -1.00 0.39 0.35
C -5.370 0.054 -1.058 0.05 -0.23 -0.26
C -0.928 0.417 -0.411 0.21 1.38 0.41
O -2.256 0.138 0.057 4.02 0.35 -0.64
C -2.078 -0.378 1.426 0.40 -1.41 1.85
C -2.492 -1.954 1.555 -0.98 1.27 1.23
C -4.045 -1.925 2.068 0.62 0.91 -0.67
C -1.649 -2.640 2.738 0.53 -0.33 -0.20
C -1.250 -4.177 2.489 0.23 -0.75 -0.04
C -2.327 -5.039 1.662 0.86 -0.82 0.42
C 0.230 -4.373 1.846 0.05 0.26 1.49
H -3.709 4.538 4.197 0.94 -1.21 1.19
H -2.407 4.400 5.546 -1.30 -0.82 -0.88
H -3.764 3.082 5.404 1.16 1.14 -0.90
H -1.355 2.397 4.482 -0.88 0.71 -0.95
H -2.696 2.296 3.186 1.27 1.21 0.78
H -1.923 4.456 2.134 1.36 -0.22 1.38
H -0.637 4.831 3.505 -0.80 -1.24 -0.84
H 0.726 3.716 1.721 -1.43 -1.03 0.06
H 0.203 2.279 2.774 -0.52 0.68 -1.42
H 1.812 2.941 -0.045 -0.72 -1.60 -0.69
H 3.456 1.387 -2.938 -0.25 -0.12 1.52
H 3.961 0.160 -1.658 -0.72 1.50 -0.23
H 5.477 2.441 0.504 -1.48 -0.99 -0.99
H 3.750 2.031 0.980 1.25 -0.53 -1.14
H 4.829 0.697 0.244 -0.36 1.61 -0.37
H 2.116 -0.920 -3.747 -0.40 -0.73 1.61
H 0.811 -2.111 -3.254 1.11 1.21 0.87
H 2.422 -2.989 -1.114 0.09 1.18 -1.59
H 3.916 -2.053 -3.466 0.39 -0.56 0.64
H -1.842 -0.042 -3.038 0.05 -1.85 0.66
H -1.777 -1.734 -3.769 0.23 0.56 1.78
H -4.003 -2.006 -3.291 0.81 0.72 1.59
H -3.705 -1.939 -1.428 0.58 0.73 -1.68
H -3.741 0.927 -2.406 -0.81 -1.45 0.13
H -5.121 0.079 -3.270 1.42 -0.36 1.25
H -5.569 -1.023 -0.700 0.27 1.68 -0.44
H -6.396 0.511 -1.301 1.64 -0.60 0.26
H -4.905 0.667 -0.209 -0.60 -1.01 -1.22
H -0.969 -0.329 1.721 -1.56 0.19 -0.49
H -2.669 0.268 2.184 0.85 -0.98 -1.54
H -2.377 -2.442 0.530 -0.04 0.60 1.49
H -4.643 -1.302 1.301 0.63 -1.32 1.18
H -4.065 -1.293 3.039 0.03 -1.29 -1.44
H -4.474 -2.966 2.245 0.52 1.51 -0.31
H -0.664 -2.073 2.948 -1.49 -0.76 -0.34
H -2.269 -2.590 3.696 0.82 0.03 -1.30
H -1.185 -4.668 3.538 -0.15 0.78 -1.73
H -1.777 -5.998 1.315 -1.00 1.52 0.57
H -2.719 -4.544 0.712 0.33 -0.56 1.48
H -3.141 -5.398 2.382 0.81 0.74 -1.33
H 0.961 -4.358 2.745 -0.99 0.08 -1.56
H 0.539 -3.505 1.170 -0.52 -1.33 0.58
H 0.349 -5.409 1.372 -0.23 1.70 0.41
C 7.662 2.209 -2.838 0.13 -0.08 0.12
- - -
Back to the page:
Encouraging healthy lifestyles through financial instruments such as taxation has been found to be difficult in practice. Excise duty does not seem to work expectations, as changes in the health status of the population are typically in the long term. It is difficult to prove the effects of the tax. Even if unhealthy eating habits could be affected, it is not possible to what the consumer chooses to replace the nutrient he has reduced. Consumption may with the tax, switch to products with similar but cheaper nutritional content or sugar-containing products are replaced by other products considered unhealthy.
<<<
{"formula": "C11H16N3", "method": "ωB97M-V with the def2-TZVPD basis set", "elements": ["C", "C", "C", "C", "C", "C", "C", "N", "C", "N", "C", "C", "N", "C", "H", "H", "H", "H", "H", "H", "H", "H", "H", "H", "H", "H", "H", "H", "H", "H"], "xyz": [[3.50518, -1.98133, 0.46572], [2.73088, -0.67400, 0.10207], [3.14786, 0.13986, -1.02385], [2.40573, 1.36329, -1.30795], [1.27383, 1.76650, -0.50575], [0.87388, 0.90393, 0.62217], [-0.40986, 1.39140, 1.42282], [-1.41229, 1.81439, 0.38643], [-2.14314, 0.84698, -0.15250], [-1.76808, -0.15056, -1.05748], [-2.73063, -1.30372, -0.97946], [-3.42681, -0.91477, 0.39496], [-3.56401, 0.55437, 0.11920], [1.59169, -0.31507, 0.94057], [2.93100, -2.65433, 1.14816], [3.76862, -2.57578, -0.44725], [4.44249, -1.67928, 1.01018], [4.03045, -0.12681, -1.64886], [2.73331, 1.98104, -2.17535], [0.71296, 2.70412, -0.72827], [-0.78616, 0.52940, 2.03051], [-0.13833, 2.23166, 2.10253], [-1.46398, 2.78615, 0.09509], [-0.80269, -0.50261, -0.94829], [-2.30374, -2.33009, -0.92307], [-3.52317, -1.17265, -1.76867], [-2.54115, -0.91319, 1.08961], [-4.34409, -1.45667, 0.71243], [-4.06602, 0.68515, -0.77431], [1.27627, -0.94735, 1.79858]], "e_tot_ev": -16127.5988, "smiles": "Cc1cccc(CNC2=[NH+]CCN2)c1", "total_charge": 1, "orbital_gap_ha": 0.2600, "multiplicity": 1, "e_homo_ev": -12.0}


{"formula": "C11H16N4O3", "method": "ωB97M-V with the def2-TZVPD basis set", "elements": ["O", "C", "O", "C", "C", "C", "C", "N", "C", "N", "N", "C", "O", "C", "C", "C", "C", "N", "H", "H", "H", "H", "H", "H", "H", "H", "H", "H", "H", "H", "H", "H", "H", "H"], "xyz": [[-2.67793, 1.79962, -1.70591], [-2.34183, 0.70424, -1.86809], [-3.14754, -0.31146, -2.34360], [-0.96517, 0.00698, -1.37823], [-1.38990, -1.23169, -0.72589], [-2.12090, -0.79446, 0.39870], [-3.34675, -0.16799, 0.67072], [-3.54318, -0.08533, 2.02165], [-2.28406, -0.45416, 2.58355], [-1.49736, -0.95600, 1.70230], [-0.42495, 1.03875, -0.53046], [0.86289, 1.22150, -0.15036], [1.20138, 2.01359, 0.72376], [1.97956, 0.34955, -0.70480], [2.23371, -0.93020, 0.06710], [3.26195, -0.53005, 1.10148], [4.11286, 0.50991, 0.32749], [3.35197, 0.96261, -0.79398], [-3.97144, 0.13217, -2.71665], [-0.52298, 0.08136, -2.42997], [-0.48128, -1.77721, -0.42883], [-1.99654, -1.73206, -1.50861], [-4.06491, 0.35994, -0.06689], [-4.40473, -0.07660, 2.46339], [-2.02630, -0.58719, 3.66569], [-1.06410, 1.74959, -0.22607], [1.75013, 0.18231, -1.75116], [2.66312, -1.70863, -0.55661], [1.31390, -1.31560, 0.58127], [2.79396, -0.26801, 2.04834], [3.85997, -1.37190, 1.55907], [4.91172, -0.25006, -0.03740], [4.58931, 1.42363, 0.85048], [3.38543, 2.01285, -0.84148]], "e_tot_ev": -23767.6218, "smiles": "O=C(O)[C@H](Cc1c[nH]cn1)NC(=O)[C@@H]1CCCN1", "orbital_gap_ha": 0.3179, "multiplicity": 1, "e_homo_ev": -8.3}
>>>
In others in some cases, the need for taxation is more difficult to justify on the basis of externalities. For example, if a person eats too many unhealthy foods and gain weight oars a result, the negative effects of harmful consumption still fit only into him. In this case, the health tax is based on paternalism that is, a patronizing view of the lack of consumer self-control that leads harmful choices and health problems. Problems, in turn, cause significant social costs. However, this view differs the general perception of economics that it is the consumer’s own choice financially most sustainable and no public power on this basis should guide him their decisions.